Data.
+++
# 1
VASP calculation (GGA-PBE) on a relaxed structure of PuHf3Tc4.

Unit cell a=3.2827 b=3.2827 c=13.1411 alpha=90.00 beta=90.00 gamma=90.00
Last column: nearest neighbours and their distance in Å.
Positions (direct):
1 Pu 0.0000 0.0000 0.0000  8 Tc 2.83
2 Hf 0.0000 0.0000 0.2557  8 Tc 2.80-2.90
3 Hf 0.0000 0.0000 0.5000  8 Tc 2.84
4 Hf 0.0000 0.0000 0.7443  8 Tc 2.80-2.90
5 Tc 0.5000 0.5000 0.1238  4 Pu 2.83, 4 Hf 2.90
6 Tc 0.5000 0.5000 0.3750  8 Hf 2.80-2.84
7 Tc 0.5000 0.5000 0.6250  8 Hf 2.80-2.84
8 Tc 0.5000 0.5000 0.8762  4 Pu 2.83, 4 Hf 2.90

The value obtained for the density of states at the Fermi level is 10.03 states/eV/f.u. As for the theoretical density: 13737 kg/m³. The total energy is -11.052 eV per atom. The magnetization is 3.571 Bohr magnetons per cell. As for the symmetry: P4/mmm (123).

# 2
VASP calculation (GGA-PBE) on a relaxed structure of PuHf2Tc.

Unit cell a=3.2582 b=3.2582 c=7.8441 alpha=90.00 beta=90.00 gamma=90.00
Last column: nearest neighbours and their distance in Å.
Positions (direct):
1 Pu 0.0000 0.0000 0.0000  4 Pu 3.26, 8 Hf 3.29
2 Hf 0.5000 0.5000 0.2985  4 Tc 2.79
3 Hf 0.5000 0.5000 0.7015  4 Tc 2.79
4 Tc 0.0000 0.0000 0.5000  8 Hf 2.79

The value obtained for the density of states at the Fermi level is 7.34 states/eV/f.u. As for the theoretical density: 13938 kg/m³. The calculation puts the offset from the most stable computed form at 0.000 eV per atom. The magnetization is 5.773 Bohr magnetons per cell. As for the symmetry: P4/mmm (123).

# 3
VASP calculation (GGA-PBE) on a relaxed structure of PuHf2Tc.

Unit cell a=4.8676 b=4.8676 c=3.3254 alpha=90.00 beta=90.00 gamma=90.00
Last column: nearest neighbours and their distance in Å.
Positions (direct):
1 Pu 0.0000 0.0000 0.0000  8 Hf 2.95
2 Hf 0.0000 0.5000 0.5000  4 Tc 2.95, 4 Pu 2.95
3 Hf 0.5000 0.0000 0.5000  4 Tc 2.95, 4 Pu 2.95
4 Tc 0.5000 0.5000 0.0000  8 Hf 2.95

The value obtained for the density of states at the Fermi level is 7.95 states/eV/f.u. As for the theoretical density: 14732 kg/m³. The calculation puts the offset from the most stable computed form at 0.268 eV per atom. The magnetization is 5.075 Bohr magnetons per cell. As for the symmetry: P4/mmm (123).

# 4
VASP calculation (GGA-PBE) on a relaxed structure of PuHf2Tc.

Unit cell a=6.8122 b=6.8122 c=6.8122 alpha=90.00 beta=90.00 gamma=90.00
Last column: nearest neighbours and their distance in Å.
Positions (direct):
1 Pu 0.0000 0.0000 0.0000  8 Hf 2.95
2 Pu 0.0000 0.5000 0.5000  8 Hf 2.95
3 Pu 0.5000 0.0000 0.5000  8 Hf 2.95
4 Pu 0.5000 0.5000 0.0000  8 Hf 2.95
5 Hf 0.2500 0.2500 0.2500  4 Tc 2.95, 4 Pu 2.95
6 Hf 0.2500 0.2500 0.7500  4 Tc 2.95, 4 Pu 2.95
7 Hf 0.2500 0.7500 0.2500  4 Tc 2.95, 4 Pu 2.95
8 Hf 0.2500 0.7500 0.7500  4 Tc 2.95, 4 Pu 2.95
9 Hf 0.7500 0.2500 0.2500  4 Tc 2.95, 4 Pu 2.95
10 Hf 0.7500 0.2500 0.7500  4 Tc 2.95, 4 Pu 2.95
11 Hf 0.7500 0.7500 0.2500  4 Tc 2.95, 4 Pu 2.95
12 Hf 0.7500 0.7500 0.7500  4 Tc 2.95, 4 Pu 2.95
13 Tc 0.0000 0.0000 0.5000  8 Hf 2.95
14 Tc 0.0000 0.5000 0.0000  8 Hf 2.95
15 Tc 0.5000 0.0000 0.0000  8 Hf 2.95
16 Tc 0.5000 0.5000 0.5000  8 Hf 2.95

The value obtained for the density of states at the Fermi level is 9.98 states/eV/f.u. As for the theoretical density: 14687 kg/m³. The calculation puts the offset from the most stable computed form at 0.256 eV per atom. The magnetization is 20.701 Bohr magnetons per cell. As for the symmetry: Fm-3m (225).

# 5
VASP calculation (GGA-PBE) on a relaxed structure of PuHf2Tc.

Unit cell a=3.1634 b=3.1634 c=30.5176 alpha=90.00 beta=90.00 gamma=120.00
Last column: nearest neighbours and their distance in Å.
Positions (direct):
1 Pu 0.0000 0.0000 0.0000  2 Hf 3.09, 6 Pu 3.16
2 Pu 0.3333 0.6667 0.6667  2 Hf 3.09, 6 Pu 3.16
3 Pu 0.6667 0.3333 0.3333  2 Hf 3.09, 6 Pu 3.16
4 Hf 0.0000 0.0000 0.1011  3 Tc 2.71
5 Hf 0.0000 0.0000 0.8989  3 Tc 2.71
6 Hf 0.3333 0.6667 0.5656  3 Tc 2.71
7 Hf 0.3333 0.6667 0.7678  3 Tc 2.71
8 Hf 0.6667 0.3333 0.2322  3 Tc 2.71
9 Hf 0.6667 0.3333 0.4344  3 Tc 2.71
+++

Request.
Search the data above for the word "distance" and transcribe each line that has it.

Solution.
Last column: nearest neighbours and their distance in Å.
Last column: nearest neighbours and their distance in Å.
Last column: nearest neighbours and their distance in Å.
Last column: nearest neighbours and their distance in Å.
Last column: nearest neighbours and their distance in Å.